On August 3, 2022 Director General of the Islamic organisation for Food Security HE Mr. Yerlan A.Baidaulet accompanied by Ambassador of the State of Palestine to the republic of Kazakhstan, HE Mr. Dr. Muntaser Abu Zeid visited the Palestinian International Cooperation Agency (PICA).
Established by a presidential decree in January 2016, PICA is the main public diplomacy tool of Palestine and works as a national coordinator for South-South and North-South Cooperation. It is aimed to transfer Palestinian know-how to countries of the South in the form of development and technical assistance and seeks to mobilize skilled human resources in responding crisis and development challenges, including food security issues.
During the meeting Assistant Minister for international development cooperation, Director General of PICA Imad Al -Zuhairi discussed enhancing ties between PICA and IOFS to pursue the implementation of strategic plans for development programs to ensure food security in OIC member countries. Parties further discussed key areas for collaboration on issues of mutual interest, particularly trading opportunities of food products and agricultural machinery, programs to transfer expertise, knowledge and technical support within OIC states.
Records of crystals, as found in the file
........
14
Lattice="6.949 0.298 -0.187 2.583 6.457 -0.187 1.739 1.233 7.138" Properties=species:S:1:pos:R:3 comment="HgPbWO4 | Alexandria via LeMat-Bulk | PBE with a Hubbard U | relaxed" energy_ev_per_cell=-82.4 spacegroup="No. 12" density_g_cm3=6.9 pbc="T T T"
W 3.928 2.784 1.834
O 2.481 3.523 1.014
O 3.602 2.553 3.606
Hg 10.592 7.507 4.840
Pb 7.253 5.141 0.852
O 8.790 4.465 5.749
O 5.395 3.823 1.582
O 7.125 6.815 5.749
O 4.146 1.174 1.014
Pb 4.018 2.848 5.911
W 7.343 5.205 4.929
O 5.876 4.165 5.181
Hg 0.679 0.481 1.923
O 7.669 5.435 3.157

* * * * *

Crystalline Mn3ZnO6 at its relaxed geometry. Source: Alexandria, functional GGA+U.

a = 5.019 Å, b = 5.068 Å, c = 9.775 Å
α = 90.00°, β = 119.23°, γ = 90.00°
Atoms (fractional coordinates):
Mn  0.000  0.000  0.000
Mn  0.000  0.500  0.500
Mn  0.297  0.012  0.800
Mn  0.297  0.488  0.300
Mn  0.703  0.512  0.700
Mn  0.703  0.988  0.200
Zn  0.500  0.000  0.500
Zn  0.500  0.500  0.000
O  0.032  0.236  0.846
O  0.032  0.264  0.346
O  0.306  0.686  0.485
O  0.306  0.814  0.985
O  0.347  0.216  0.167
O  0.347  0.284  0.667
O  0.653  0.716  0.333
O  0.653  0.784  0.833
O  0.694  0.186  0.015
O  0.694  0.314  0.515
O  0.968  0.736  0.654
O  0.968  0.764  0.154

Calculated values
The space group is P2_1/c, No. 14. Its density of states at the Fermi level is 1.38 states/eV per cell. For the total magnetization, the calculation gives 1.100 μB per atom. The calculated volume comes out at 108 Å³/f.u. The value obtained for the total energy is -135.15 eV/cell.

* * * * *

1.
# Tb2AlGa3Pd4, optimized geometry, DFT PBE
# SG	No. 115
# formation enthalpy at 0 K	-810	meV per atom
data_Tb2AlGa3Pd4
_chemical_formula_sum 'Tb2 Al1 Ga3 Pd4'
_cell_length_a 4.070
_cell_length_b 4.070
_cell_length_c 11.250
_cell_angle_alpha 90.00
_cell_angle_beta 90.00
_cell_angle_gamma 90.00
_space_group_name_H-M_alt 'P 1'
_space_group_IT_number 1
_space_group_name_Hall 'P 1'
loop_
_atom_site_label
_atom_site_type_symbol
_atom_site_fract_x
_atom_site_fract_y
_atom_site_fract_z
Ga1 Ga 0.500 0.000 0.865
Pd1 Pd 0.000 0.000 0.000
Pd2 Pd 0.500 0.500 0.000
Pd3 Pd 0.500 0.000 0.641
Al1 Al 0.500 0.500 0.500
Ga2 Ga 0.000 0.000 0.500
Tb1 Tb 0.500 0.000 0.250
Ga3 Ga 0.000 0.500 0.135
Tb2 Tb 0.000 0.500 0.750
Pd4 Pd 0.000 0.500 0.359

2.
# TbSmInAu, optimized geometry, DFT PBE
# energy above the lowest structure with this stoichiometry	65	meV/atom
# SG	No. 216
# formation enthalpy at 0 K	-591	meV per atom
data_TbSmInAu
_chemical_formula_sum 'Tb1 Sm1 In1 Au1'
_cell_length_a 5.290
_cell_length_b 5.290
_cell_length_c 5.290
_cell_angle_alpha 60.00
_cell_angle_beta 60.00
_cell_angle_gamma 60.00
_space_group_name_H-M_alt 'P 1'
_space_group_IT_number 1
_space_group_name_Hall 'P 1'
loop_
_atom_site_label
_atom_site_type_symbol
_atom_site_fract_x
_atom_site_fract_y
_atom_site_fract_z
Au1 Au 0.000 0.000 0.000
In1 In 0.500 0.500 0.500
Tb1 Tb 0.750 0.750 0.750
Sm1 Sm 0.250 0.250 0.250

3.
# PrSm6DyHo2, optimized geometry, DFT PBE
# SG	No. 15
........
Back to the page
During a visit to Palestine IOFS Director General also was received by the General Manager of the Palestinian Food and Agriculture Industries Union (PFAIU), Eng. Bassam Abu-Ghalyoun. PFAIU as a non-profit organisation integrates all major Palestine food companies and aims to promote locally made agrifood in complying with advanced production standards, offers assistantship in improving management and marketing tools and protects interests and cooperate in strengthening efforts for the dynamic development of the food industry. HE Mr. Yerlan A.Baidaulet highlighted that such meetings aids to identify areas of opportunity and growth partnership through trade exports and inward investments via the IOFS subsidiary IFPA platform and expressed willingness for closer cooperation between entities.
The IOFS delegation, while commencing a visit to the Golden wheat mills Company P.L.C. in flour and semolina production was informed about advanced technologies in flour milling and malt manufacturing. The company with the mill located in Burham village, Ramallah, has annual production capacity of more than 50,000 metric tons producing different types of wheat flour and semolina with Golden Wheat and Al Sanabel brands. IOFS Director General underscored the importance of the flour manufacturing enterprises in providing value-added export potential flour products to OIC countries.